=====
No. 1
# C30H33BF6MnN5O6S4

A structure of composition C30H33BF6MnN5O6S4 in a non-equilibrium geometry (the ωB97M-V functional and the def2-TZVPD basis, the OMol25 dataset).

HOMO-LUMO gap (spin up / spin down)   6.80 / 7.57 eV
Relative energy (zero: lowest compared OMol25 entry of this formula, charge and spin)   0.0 kcal/mol
Highest occupied orbital energy (spin up / spin down)   -13.3 / -13.3 eV

```
! RIJCOSX wB97M-V def2-TZVPD def2/J DEFGRID3
* xyz 2 5
H 4.59624 0.68572 0.37096
C 1.78905 -0.45942 -0.46367
B -2.39366 -0.12967 -1.23428
C 1.26202 -4.74656 1.58762
C -4.10120 2.73968 -1.20703
H 3.46460 0.32048 -3.18628
C 3.64717 -1.83005 0.18283
H -5.04854 4.17123 2.26308
C -3.67062 -1.92340 -1.34065
H 3.15855 -3.91190 0.06078
C -3.78438 2.75060 1.18721
S 0.87441 2.76548 1.53970
S -0.12146 4.18892 -0.44186
H -4.19808 4.89854 -1.24958
H 4.66041 -1.91258 -0.20622
C 0.92851 -1.54503 0.10517
H -6.07975 5.02515 0.26245
H 5.01643 -0.17776 -5.04820
O -1.14704 4.79303 0.37610
H -3.99080 -3.63503 -2.60158
H 3.47067 1.41948 -0.77982
C 5.38523 -0.14468 -4.03148
H -6.20630 3.38670 0.29026
C -4.87810 4.05292 -1.14639
H -3.03411 2.70808 1.97629
C -4.26699 -3.11096 -1.69689
H 0.54051 -3.40108 3.09671
H -6.32774 -3.34984 0.99408
O 1.96465 1.91114 1.84722
C 6.73098 -0.36784 -3.77132
H -3.59026 2.66731 -2.16636
H 8.25039 -0.50176 -2.26473
C 0.42747 5.50793 -1.62078
O -2.67555 -1.22137 -1.99291
F 1.33211 5.03235 -2.45050
C 4.98691 0.19063 -1.68100
H 2.83884 -3.00507 -1.43144
H 3.68788 -1.83988 1.27603
N -3.12363 2.64860 -0.11912
S -0.55451 -1.15096 0.79986
F -0.76822 3.84583 3.28708
C 7.20268 -0.32527 -2.46836
N 3.08748 -0.56682 -0.29301
C -5.23475 -3.60326 -0.82767
O -0.42824 2.10180 1.33613
Mn -1.19253 1.23464 -0.26942
H 0.60814 -4.59272 -0.44598
H -3.83830 4.90003 1.18903
C -5.57604 -2.92847 0.34068
C 4.51497 0.13367 -2.99009
H -5.63360 4.10906 -1.92795
H -5.21444 -1.21472 1.61313
C 1.64431 -5.03486 3.94648
C -4.96915 -1.72765 0.69224
S 1.08134 0.81093 -1.31237
H 3.05086 -7.56144 2.18729
F -0.68288 5.82951 -2.28534
O -0.63384 3.14371 -1.33589
H -5.72845 -4.53600 -1.06248
H 6.70350 -0.00040 -0.40606
N -5.54340 4.15926 0.19477
C 1.10162 -4.30836 2.89883
C -4.53801 4.07213 1.30712
N 1.42221 -2.76706 0.10694
C 4.03801 0.52156 -0.55350
H 7.41197 -0.56911 -4.58739
C 6.33169 -0.04787 -1.42385
H -0.35762 -3.65242 0.70741
H -4.45772 1.89776 1.30726
O -3.25948 -0.09040 -0.10911
H -2.49749 3.44770 -0.18460
F 1.18632 3.38229 4.08086
H -4.78396 1.88826 -1.12657
H 2.75437 -6.77936 4.51390
C 0.64763 -3.96824 0.45081
C 2.34731 -6.20500 3.69266
N 1.16711 3.75217 0.34192
C 1.96894 -5.91793 1.33849
H 2.08095 -6.27692 0.32072
C -4.01722 -1.24405 -0.17764
C 2.80012 -2.96624 -0.33840
C 2.51002 -6.64628 2.38804
C 0.54053 3.85291 3.03808
F 0.88611 6.55680 -0.97787
F 0.93467 5.08506 2.77481
H 1.51213 -4.69338 4.96463
*
```

***

No. 2
# C3H8NO2

A cluster of 2 separate species, C3H8NO2 in total in a non-equilibrium geometry (the ωB97M-V functional and the def2-TZVPD basis, the OMol25 dataset).

HOMO-LUMO gap (spin up / spin down)   8.56 / 8.56 eV
Relative energy (zero: lowest compared OMol25 entry of this formula, charge and spin)   149.8 kcal/mol
Highest occupied orbital energy (spin up / spin down)   -14.1 / -14.1 eV

```
! RIJCOSX wB97M-V def2-TZVPD def2/J DEFGRID3
* xyz 1 1
H -0.54963 -1.17641 -2.61347
H 0.49649 1.90818 -0.21266
O -1.58544 -0.93038 -0.12460
H -0.44994 0.61853 -2.61618
H 1.66341 0.44276 0.09611
H 1.69662 0.10067 2.65480
H 0.93674 -1.11907 1.83595
C -0.97659 -0.31871 -2.27972
H -2.08817 -0.24093 -2.70639
N -0.81154 -0.42716 -0.87986
C 0.82692 0.96826 0.32247
O 0.14103 0.77809 1.35835
C 0.78012 -0.17374 2.25363
H -0.08001 -0.43010 2.91159
*
```

***

No. 3
# C14H33N5OPd

A structure of composition C14H33N5OPd (the ωB97M-V functional and the def2-TZVPD basis, the OMol25 dataset).

HOMO-LUMO gap   6.08 eV
Relative energy (zero: lowest compared OMol25 entry of this formula, charge and spin)   15.8 kcal/mol
Highest occupied orbital energy   -5.3 eV

```
=====
Could you retype the material further above exactly?
No. 1
# C30H33BF6MnN5O6S4

A structure of composition C30H33BF6MnN5O6S4 in a non-equilibrium geometry (the ωB97M-V functional and the def2-TZVPD basis, the OMol25 dataset).

HOMO-LUMO gap (spin up / spin down)   6.80 / 7.57 eV
Relative energy (zero: lowest compared OMol25 entry of this formula, charge and spin)   0.0 kcal/mol
Highest occupied orbital energy (spin up / spin down)   -13.3 / -13.3 eV

```
! RIJCOSX wB97M-V def2-TZVPD def2/J DEFGRID3
* xyz 2 5
H 4.59624 0.68572 0.37096
C 1.78905 -0.45942 -0.46367
B -2.39366 -0.12967 -1.23428
C 1.26202 -4.74656 1.58762
C -4.10120 2.73968 -1.20703
H 3.46460 0.32048 -3.18628
C 3.64717 -1.83005 0.18283
H -5.04854 4.17123 2.26308
C -3.67062 -1.92340 -1.34065
H 3.15855 -3.91190 0.06078
C -3.78438 2.75060 1.18721
S 0.87441 2.76548 1.53970
S -0.12146 4.18892 -0.44186
H -4.19808 4.89854 -1.24958
H 4.66041 -1.91258 -0.20622
C 0.92851 -1.54503 0.10517
H -6.07975 5.02515 0.26245
H 5.01643 -0.17776 -5.04820
O -1.14704 4.79303 0.37610
H -3.99080 -3.63503 -2.60158
H 3.47067 1.41948 -0.77982
C 5.38523 -0.14468 -4.03148
H -6.20630 3.38670 0.29026
C -4.87810 4.05292 -1.14639
H -3.03411 2.70808 1.97629
C -4.26699 -3.11096 -1.69689
H 0.54051 -3.40108 3.09671
H -6.32774 -3.34984 0.99408
O 1.96465 1.91114 1.84722
C 6.73098 -0.36784 -3.77132
H -3.59026 2.66731 -2.16636
H 8.25039 -0.50176 -2.26473
C 0.42747 5.50793 -1.62078
O -2.67555 -1.22137 -1.99291
F 1.33211 5.03235 -2.45050
C 4.98691 0.19063 -1.68100
H 2.83884 -3.00507 -1.43144
H 3.68788 -1.83988 1.27603
N -3.12363 2.64860 -0.11912
S -0.55451 -1.15096 0.79986
F -0.76822 3.84583 3.28708
C 7.20268 -0.32527 -2.46836
N 3.08748 -0.56682 -0.29301
C -5.23475 -3.60326 -0.82767
O -0.42824 2.10180 1.33613
Mn -1.19253 1.23464 -0.26942
H 0.60814 -4.59272 -0.44598
H -3.83830 4.90003 1.18903
C -5.57604 -2.92847 0.34068
C 4.51497 0.13367 -2.99009
H -5.63360 4.10906 -1.92795
H -5.21444 -1.21472 1.61313
C 1.64431 -5.03486 3.94648
C -4.96915 -1.72765 0.69224
S 1.08134 0.81093 -1.31237
H 3.05086 -7.56144 2.18729
F -0.68288 5.82951 -2.28534
O -0.63384 3.14371 -1.33589
H -5.72845 -4.53600 -1.06248
H 6.70350 -0.00040 -0.40606
N -5.54340 4.15926 0.19477
C 1.10162 -4.30836 2.89883
C -4.53801 4.07213 1.30712
N 1.42221 -2.76706 0.10694
C 4.03801 0.52156 -0.55350
H 7.41197 -0.56911 -4.58739
C 6.33169 -0.04787 -1.42385
H -0.35762 -3.65242 0.70741
H -4.45772 1.89776 1.30726
O -3.25948 -0.09040 -0.10911
H -2.49749 3.44770 -0.18460
F 1.18632 3.38229 4.08086
H -4.78396 1.88826 -1.12657
H 2.75437 -6.77936 4.51390
C 0.64763 -3.96824 0.45081
C 2.34731 -6.20500 3.69266
N 1.16711 3.75217 0.34192
C 1.96894 -5.91793 1.33849
H 2.08095 -6.27692 0.32072
C -4.01722 -1.24405 -0.17764
C 2.80012 -2.96624 -0.33840
C 2.51002 -6.64628 2.38804
C 0.54053 3.85291 3.03808
F 0.88611 6.55680 -0.97787
F 0.93467 5.08506 2.77481
H 1.51213 -4.69338 4.96463
*
```

***

No. 2
# C3H8NO2

A cluster of 2 separate species, C3H8NO2 in total in a non-equilibrium geometry (the ωB97M-V functional and the def2-TZVPD basis, the OMol25 dataset).

HOMO-LUMO gap (spin up / spin down)   8.56 / 8.56 eV
Relative energy (zero: lowest compared OMol25 entry of this formula, charge and spin)   149.8 kcal/mol
Highest occupied orbital energy (spin up / spin down)   -14.1 / -14.1 eV

```
! RIJCOSX wB97M-V def2-TZVPD def2/J DEFGRID3
* xyz 1 1
H -0.54963 -1.17641 -2.61347
H 0.49649 1.90818 -0.21266
O -1.58544 -0.93038 -0.12460
H -0.44994 0.61853 -2.61618
H 1.66341 0.44276 0.09611
H 1.69662 0.10067 2.65480
H 0.93674 -1.11907 1.83595
C -0.97659 -0.31871 -2.27972
H -2.08817 -0.24093 -2.70639
N -0.81154 -0.42716 -0.87986
C 0.82692 0.96826 0.32247
O 0.14103 0.77809 1.35835
C 0.78012 -0.17374 2.25363
H -0.08001 -0.43010 2.91159
*
```

***

No. 3
# C14H33N5OPd

A structure of composition C14H33N5OPd (the ωB97M-V functional and the def2-TZVPD basis, the OMol25 dataset).

HOMO-LUMO gap   6.08 eV
Relative energy (zero: lowest compared OMol25 entry of this formula, charge and spin)   15.8 kcal/mol
Highest occupied orbital energy   -5.3 eV

```